What Things Have To Follow After Having Dental Bridges

What Things Have To Follow After Having Dental Bridges

January 1, 2022

Dental bridge treatment is a restorative dentistry procedure to cover gaps left by missing teeth. Tooth-like prosthetics are permanently placed where your tooth or teeth used to be. Bridges look and function similarly to your natural teeth. Dental bridges in Brighton, ON, are placed on improving the quality of your life.

Adjacent teeth or a dental implant may support a dental bridge. However, proper care is required for its long-term success, regardless of the type of dental bridge. Read on for what follows after the procedure.

What Can I Expect Immediately After Dental Bridge Placement?

The type of dental bridge placed on your mouth determines what to expect after the procedure. A traditional dental bridge procedure varies from an implant-supported tooth bridge procedure. How bridges feel in the mouth and their recovery periods also differ.

  1. Traditional bridges

After the procedure for fixing traditional dental bridges in Brighton, ON, you should expect an adjustment period. During this time, your mouth slowly adjusts to your new dental prosthetics. As a result, your gums may remain sore and swollen for some days after the procedure. The dentist will recommend some medicine to ease the discomfort. Rinsing with warm saline water also helps.

You may experience tooth sensitivity due to the enamel being removed to accommodate your dental crowns. Avoid eating or drinking items with extreme temperatures during this time. In addition, some patients experience sensitivity to the pressure from biting and chewing. Your dentist will recommend remedies or adjust the bridges for a comfortable fit.

Avoid eating sticky, hard, or chewy foods. They interfere with the adhesive holding the bridge in place. As you chew with your new teeth, you may feel that your bite is off. Also, some patients have speech impediments due to unfamiliar bridges. These changes are temporary and disappear after about two weeks once you get accustomed to the bridge in your mouth.

  1. Implant-supported bridges

There is a long recovery period after a procedure involving these bridges. Once the bridge has been placed in your jaw, it may take three to six months for the area to heal. The fixed bridge is placed after healing takes place. Since the bridge is supported by a titanium post and not a tooth, problems such as sensitivity are avoided. Patients adjust to these bridges fast as they feel natural.

Caring for the Dental Bridge

Simple tips that help you care for your new prosthetics are:

  1. Maintain optimum oral hygiene. Brush your teeth twice every day and floss under the bridge daily.
  2. Use fluoride toothpaste and an antibacterial mouth rinse to keep away oral bacteria.
  3. Avoid hard, chewy, sticky foods such as nuts, popcorn, or caramel.
  4. Avoid sugary foods items since they may cause infections.
  5. Do not smoke or take alcohol during the recovery period because they delay healing.
  6. Attend regular dental visits to ensure that your bridge remains in good condition.

Potential Complications of a Dental Bridge

Although any dental procedure involves risks, the risks of this procedure are uncommon. However, some complications may arise after a dental bridge procedure. Here are some of them and the ways to reduce them.

Data records, as found in the file:
100
Properties=species:S:1:pos:R:3 method="wB97M-V/def2-TZVPD" e_tot_ha=-2756.57877 relative_energy_ev=0.000 multiplicity=5 total_charge=-1
Ir -0.8901 -0.8372 0.9521
C -0.1221 -4.7841 -2.2780
C -0.1236 -3.8320 -1.0727
C 0.2621 -4.6392 0.1500
C 0.6756 -2.6054 -1.2166
C 1.8244 -2.4463 -1.9922
C 2.1769 -1.1212 -1.8658
C 3.4228 -0.6048 -2.5364
C 3.4093 -0.8704 -4.0629
C 4.0142 0.7733 -2.2861
N 1.2889 -0.5076 -1.1368
N 0.3661 -1.4354 -0.6438
B 0.9571 1.0033 -0.9439
N -0.5945 1.2230 -1.2542
N -1.3256 1.4971 -0.1283
C -2.4196 2.1303 -0.5599
C -2.4745 2.0903 -1.9835
C -1.3012 1.5347 -2.3875
C -0.8243 1.4070 -3.8406
C -0.4638 -0.0295 -4.2602
C 0.2358 2.4943 -4.3163
C -3.5970 2.4175 0.3728
C -4.9077 1.7983 -0.1341
C -3.3033 2.0326 1.8087
N 1.0358 1.4038 0.5529
N 0.4905 0.6542 1.5488
C 0.6896 1.2640 2.6634
C 1.2195 2.5303 2.4442
C 1.4325 2.5766 1.0965
C 2.0941 3.7213 0.4186
C 1.3135 4.2178 -0.8647
C 3.5761 3.5202 0.0795
C 0.3996 0.6466 3.9506
C 1.7027 0.1531 4.6495
C -0.5435 1.5093 4.8566
H -0.6919 -5.6783 -2.0571
H 0.9161 -5.0091 -2.6090
H -0.6189 -4.2592 -3.1203
H -1.1096 -3.4420 -0.8977
H 1.2769 -5.0096 0.0583
H -0.5208 -5.3775 0.3231
H 0.2411 -3.9868 0.9801
H 2.4666 -3.1601 -2.4943
H 4.1282 -1.3660 -2.1196
H 2.7787 -0.1563 -4.5383
H 3.1086 -1.8628 -4.3617
H 4.4365 -0.7663 -4.4641
H 3.4492 1.6195 -2.7649
H 5.0531 0.7972 -2.7032
H 4.1073 0.8836 -1.1977
H 1.6925 1.6406 -1.5797
H -3.3341 2.3662 -2.5887
H -1.7685 1.6511 -4.3165
H 0.4732 -0.3610 -3.7985
H -0.1729 -0.0984 -5.3110
H -1.3311 -0.6418 -3.9032
H 1.2858 2.2335 -4.0760
H 0.1094 3.4018 -3.7910
H 0.3022 2.5472 -5.4446
H -3.7342 3.4930 0.3770
H -4.8874 0.7031 -0.0012
H -5.0563 2.0325 -1.1758
H -5.7984 2.2740 0.3089
H -3.2201 0.9630 2.0084
H -4.0748 2.4702 2.4852
H -2.3625 2.4515 2.1256
H 1.3870 3.2588 3.2114
H 2.0575 4.5454 1.1270
H 1.5207 3.4694 -1.6145
H 1.6859 5.2061 -1.1805
H 0.2263 4.3508 -0.7699
H 3.7052 2.9516 -0.8342
H 4.1438 3.0146 0.9150
H 4.1188 4.4513 -0.1118
H -0.1610 -0.2827 3.7232
H 2.1650 1.0287 5.1151
H 2.3725 -0.3670 3.9450
H 1.3189 -0.5669 5.4075
H 0.0480 2.3706 5.1889
H -0.7556 0.9411 5.8076
H -1.4369 1.9001 4.3546
O -1.2593 -4.3519 3.2682
C -1.6263 -3.2438 2.9026
O -0.7665 -2.2274 2.6962
C -3.1011 -2.9213 2.7764
C -4.0165 -3.4831 3.6761
C -5.3486 -3.1520 3.7818
C -5.8502 -2.2371 2.8304
C -5.0689 -1.8430 1.7527
C -3.7193 -2.2270 1.6956
S -2.9114 -1.7085 0.2345
H -3.6999 -4.2382 4.3819
H -6.0225 -3.5932 4.5199
H -6.8269 -1.7676 3.0558
H -5.4536 -1.1749 0.9722
F 5.0167 -2.5430 -0.4237
B 5.3235 -1.4517 0.4480
F 6.3214 -0.7085 -0.1987
F 5.6919 -1.8469 1.7203
F 4.0818 -0.7913 0.4934

* * * * *

[1]
Formula: C11H19NO4P
Source: the OMol25 dataset
Level of theory: ωB97M-V/def2-TZVPD

Structure (XYZ):
```
36
C11H19NO4P, DFT ωB97M-V/def2-TZVPD
H -0.72 -1.71 1.54
C 1.66 -2.64 -0.96
H 2.86 0.25 2.72
H -3.25 -1.36 -0.99
H 3.84 -0.41 1.02
H 2.95 -2.47 1.49
O 0.90 0.66 1.79
C -0.76 -2.75 -1.82
C -2.81 -2.07 -0.25
H 2.75 -2.76 -1.12
C 0.68 -2.92 -2.03
H -0.02 0.79 -0.19
H -3.31 -3.06 -0.27

  1. You may have chipping, loss, or loosening of the bridge. Follow the dietary and lifestyle restrictions provided by your dentist.
  2. Others have allergic reactions to some materials used in the crown or false tooth. Ensure that your dental care teams are aware of any metal allergies you may have.
  3. Inflammation or infection in the teeth that support the bridge or the gums may occur. Take the medications as prescribed to avoid these complications. Immediately notify your dentist if you have a fever, severe pain, or difficulty chewing.
  4. Tooth sensitivity when eating or drinking cold items. Avoid the things that trigger sensitivity. Make sure that the temporary crowns remain in place until permanent crowns replace them.

Taking good care of your dental bridges ensures that they last for a longer time. Contact us at Brighton Family Dentistry for personalized tips on taking care of your dental bridges. If you have lost teeth, you do not have to live with tooth loss. Find out from our dental experts whether bridges are the right solution for you. Then, start the process of restoring your smile with us.